(Contents)
<<<
YB2Pd2C: relaxed, GGA-PBE.

abc: 3.7903 3.7903 10.7592
angles: 90.00 90.00 90.00
Last column: nearest neighbours and their distance in Å.
Space group I4/mmm (No. 139)
One atom of each set of equivalent atoms:
Y  0.0000  0.0000  0.0000 (multiplicity 2)  4 C 2.68
B  0.0000  0.0000  0.3628 (multiplicity 4)  1 C 1.48
Pd  0.0000  0.5000  0.2500 (multiplicity 4)  4 B 2.25
C  0.0000  0.0000  0.5000 (multiplicity 2)  2 B 1.48

Output
- M_tot (μB per formula unit) = 0.00
- crystal system = tetragonal
- formation enthalpy at 0 K (eV/atom) = -0.494

La2CdTe4: relaxed, GGA-PBE.

abc: 9.4851 9.4851 10.1220
angles: 90.00 90.00 90.00
Last column: nearest neighbours and their distance in Å.
Space group I-42d (No. 122)
One atom of each set of equivalent atoms:
La  0.1313  0.7500  0.1250 (multiplicity 8)  6 Te 3.17-3.43
Cd  0.0000  0.0000  0.5000 (multiplicity 4)  4 Te 3.02
Te  0.0703  0.6958  0.4411 (multiplicity 16)  1 Cd 3.02, 2 La 3.17-3.29

Output
- M_tot (μB per formula unit) = 0.00
- crystal system = tetragonal
- formation enthalpy at 0 K (eV/atom) = -1.401
- total energy after the MP2020 corrections (eV per atom) = -4.739

MgCuGe2O6: relaxed, GGA-PBE.

abc: 9.7380 9.2241 5.3827
angles: 90.00 101.23 90.00
Last column: nearest neighbours and their distance in Å.
Space group P2_1/c (No. 14)
One atom of each set of equivalent atoms:
Mg  0.2465  0.0076  0.4402 (multiplicity 4)  4 O 2.02-2.14
Cu  0.2418  0.6492  0.4508 (multiplicity 4)  4 O 1.97-2.14
Ge  0.0580  0.1596  0.8419 (multiplicity 4)  4 O 1.73-1.83
Ge  0.4649  0.1567  0.2345 (multiplicity 4)  4 O 1.73-1.81
O  0.1116  0.1803  0.1837 (multiplicity 4)  2 Ge 1.82-1.83
O  0.1271  0.6497  0.7199 (multiplicity 4)  1 Ge 1.77
O  0.1420  0.0160  0.7285 (multiplicity 4)  1 Ge 1.73
O  0.3495  0.6623  0.1769 (multiplicity 4)  1 Ge 1.78, 1 Cu 1.97
O  0.3851  0.5119  0.6971 (multiplicity 4)  1 Ge 1.73
O  0.3911  0.2129  0.5018 (multiplicity 4)  2 Ge 1.78-1.81

Output
- E above lowest polymorph (meV/atom) = 0
- M_tot (μB per formula unit) = 1.00
- crystal system = monoclinic
- formation enthalpy at 0 K (eV/atom) = -2.032
- total energy after the MP2020 corrections (eV per atom) = -6.495

LaCeF6: relaxed, GGA-PBE.

abc: 7.4212 4.0858 7.3634
angles: 90.00 90.00 90.00
Last column: nearest neighbours and their distance in Å.
Space group Amm2 (No. 38)
One atom of each set of equivalent atoms:
La  0.0000  0.0000  0.0000 (multiplicity 2)  5 F 2.40-2.45
Ce  0.5000  0.0000  0.3426 (multiplicity 2)  9 F 2.40-2.68
F  0.0000  0.0000  0.6699 (multiplicity 2)  3 La 2.40-2.43
F  0.1726  0.0000  0.3372 (multiplicity 4)  1 Ce 2.43, 5 F 2.56-2.71, 2 La 2.69
F  0.3297  0.0000  0.0026 (multiplicity 4)  1 La 2.45, 6 F 2.53-2.73, 2 Ce 2.68
F  0.5000  0.0000  0.6712 (multiplicity 2)  3 Ce 2.40-2.42

Output
- M_tot (μB per formula unit) = 1.00
- crystal system = orthorhombic
- formation enthalpy at 0 K (eV/atom) = -4.371
- total energy after the MP2020 corrections (eV per atom) = -7.165

Er4Si3O11F2: relaxed, GGA-PBE.

abc: 6.4909 6.6208 13.2861
angles: 87.66 85.89 60.86
Last column: nearest neighbours and their distance in Å.
Space group P-1 (No. 2)
One atom of each set of equivalent atoms:
Er  0.0609  0.2255  0.4737 (multiplicity 2)  6 O 2.20-2.42, 1 F 2.24
Er  0.1782  0.1924  0.1710 (multiplicity 2)  5 O 2.22-2.37, 2 F 2.23-2.40
Er  0.2190  0.7131  0.0286 (multiplicity 2)  6 O 2.23-2.39, 1 F 2.33
Er  0.3250  0.8791  0.7033 (multiplicity 2)  4 O 2.25-2.35, 2 F 2.35
Si  0.2318  0.6532  0.2831 (multiplicity 2)  4 O 1.64-1.67
Si  0.2673  0.2308  0.9209 (multiplicity 2)  4 O 1.63-1.70
Si  0.4924  0.7515  0.4351 (multiplicity 2)  4 O 1.63-1.67
O  0.0108  0.2140  0.6449 (multiplicity 2)  1 Si 1.64
O  0.0123  0.4400  0.8878 (multiplicity 2)  1 Si 1.63
O  0.1730  0.0936  0.0079 (multiplicity 2)  1 Si 1.70
O  0.2034  0.8238  0.1862 (multiplicity 2)  1 Si 1.64
O  0.2489  0.4059  0.5189 (multiplicity 2)  1 Si 1.63
O  0.2646  0.8374  0.5206 (multiplicity 2)  1 Si 1.67
O  0.3122  0.3865  0.2535 (multiplicity 2)  1 Si 1.64
>>>

(Exercise)
Say how many lines of the calculation results earlier on hold the word "tetragonal", as a bare number.

(Response)
2